Maltese eat less meat than fellow Europeans
# Someone pasted crystal structures at this point
Record 1
# Pm2PrSb3
Theoretical powder XRD pattern, Cu Kα (weighted mean of Kα1 and Kα2). Input: a structure optimized by DFT (GGA-PBE).
Neutral-atom scattering factors, no anomalous dispersion.

Main lines, by intensity (15 to 90 degrees two-theta):
| d [Å] | I_rel |
| --- | --- |
| 3.191 | 100 |
| 2.256 | 77 |
| 1.427 | 35 |
| 1.842 | 27 |
| 1.303 | 26 |
| 1.595 | 13 |
| 1.128 | 8 |
| 3.684 | 2 |
| 1.924 | 1 |

Atomic structure:
```
12
Lattice="3.190 -9.575 0.000 3.190 9.575 0.000 0.000 0.000 6.380" Properties=species:S:1:pos:R:3 pbc="T T T"
Pm 0.000 0.000 0.000
Pm 3.190 6.387 3.190
Pm 3.190 0.000 3.190
Pm 3.190 -6.387 3.190
Pr 3.190 3.196 0.000
Pr 3.190 -3.196 0.000
Sb 0.000 0.000 3.190
Sb 3.190 6.404 0.000
Sb 3.190 3.192 3.190
Sb 3.190 0.000 0.000
Sb 3.190 -3.192 3.190
Sb 3.190 -6.404 0.000
```

=====

Record 2
# Pm3PrSb3
Theoretical powder XRD pattern, Cu Kα (weighted mean of Kα1 and Kα2). Input: a structure optimized by DFT (GGA-PBE).
Neutral-atom scattering factors, no anomalous dispersion.

Main lines, by intensity (15 to 90 degrees two-theta):
| d [Å] | I_rel |
| --- | --- |
| 2.999 | 100 |
| 2.534 | 65 |
| 1.538 | 25 |
| 1.860 | 24 |
| 1.936 | 17 |
| 1.290 | 15 |
| 1.463 | 14 |
| 1.499 | 12 |
| 1.102 | 11 |
| 2.120 | 10 |
| 2.022 | 9 |
| 1.369 | 6 |

Atomic structure:
```
28
Lattice="9.482 0.000 0.000 0.000 9.482 0.000 0.000 0.000 9.482" Properties=species:S:1:pos:R:3 pbc="T T T"
Pm 0.681 4.060 5.422
Pm 1.704 1.704 1.704
Pm 1.710 7.772 3.031
Pm 3.031 1.710 7.772
Pm 3.037 7.778 6.446
Pm 4.060 5.422 0.681
Pm 5.422 0.681 4.060
Pm 6.446 3.037 7.778
Pm 6.451 6.451 6.451
Pm 7.772 3.031 1.710
Pm 7.778 6.446 3.037
Pm 8.801 8.801 8.801
Pr 0.665 5.406 8.818
Pr 4.077 4.077 4.077
Pr 5.406 8.818 0.665
Pr 8.818 0.665 5.406
Sb 0.006 7.090 5.910
Sb 1.169 4.736 2.393
Sb 2.348 8.313 9.477
Sb 2.393 1.169 4.736
Sb 3.572 4.747 7.134
Sb 4.736 2.393 1.169
Sb 4.747 7.134 3.572
Sb 5.910 0.006 7.090
Sb 7.090 5.910 0.006
Sb 7.134 3.572 4.747
Sb 8.313 9.477 2.348
Sb 9.477 2.348 8.313
```

----------

(1)
This entry pairs a crystal structure of Li2CrPCO7 with its simulated X-ray diffraction stick pattern. Radiation: Cu Kα (λ = 1.5418 Å). Structure: a crystal structure in the Materials Project, relaxed with GGA+U.
Kinematic intensities with the Lorentz-polarization factor, no thermal factor.

Most intense lines, 10° ≤ 2θ ≤ 80°, in order of rising 2θ:
2theta	Rel. int.
10.7	758
17.5	370
19.6	512
21.6	726
26.4	326
27.8	1000

Crystal structure
Lattice parameters (Å, degrees): 5.0697 6.4100 8.3370 90.00 96.06 90.00
Sites, in units of the cell vectors:
Li 0.2183 0.0000 0.0993
Li 0.2609 0.2852 0.7187
Li 0.7391 0.7852 0.2813
Li 0.7817 0.5000 0.9007
Cr 0.2039 0.4923 0.3242
Cr 0.7961 0.9923 0.6758
P 0.2711 0.9960 0.4184
P 0.7289 0.4960 0.5816
C 0.3174 0.4931 0.0453
C 0.6826 0.9931 0.9547
O 0.0681 0.4899 0.0780
O 0.1371 0.0163 0.5739
O 0.1637 0.8088 0.3096
O 0.2108 0.1826 0.3016
O 0.3893 0.4657 0.9065
O 0.4240 0.4673 0.5391
O 0.4877 0.5214 0.1734
O 0.5123 0.0214 0.8266
50% willing to give up meat for vegetables for environmental reasons
Maltese citizens eat less beef, poultry, pork and other cuts of meat than most of their European counterparts, according to a survey conducted by Eurobarometer.
Only 15% of the Maltese compared to 35% of citizens in all 27-member states eat meat more four times a week. Only 4% of Maltese citizens eat meat more than five times a week compared to 14% of all Europeans.
However Maltese citizens regularly consume meat with just 3% claiming that they never eat meat and 4% eating meat less than once a week.
The vast majority of Maltese (61%) consume meat (beef, pork or poultry) two or three times a week while 17% consume it once a week.
In the European Union as a whole one in ten citizens report eating meat once a week (12%), around half of citizens eat meat two or three times a week (47%), a fifth eat it four or five times a week (21%) and 14% eat it more than five times a week.
Despite the high reported meat consumption overall, many EU citizens and Maltese are willing to change their meat consumption habits for environmental reasons.
Two thirds of Maltese citizens would be willing to eat less meat but of certified origin (67%). But the Maltese are less likely to shift to meat of certified origins than other Europeans, 80% of which are willing to make this move.
64% of Maltese compared to 72% of all Europeans would be willing to replace beef or pork with poultry or fish and half would be willing to replace most of the meat they eat with vegetables (50%) - which is the same as the European average.
The highest proportion of EU citizens who claim to never eat meat are in the United Kingdom (6%). The highest meat consumption is in Denmark where more than half say that they eat meat more than five times a week (55%), with most of the remaining respondents reporting that they eat meat four or five times a week (26%).
Out of all EU countries, cash starved Greece is the country where most respondents claim to eat meat less than once a week (5%), once a week (20%) and two or three times a week (62%).
It is also the country where the lowest proportion of respondents report they eat meat four of five times a week (9%) and more than five times a week (3%).
Respondents are most willing to replace most of the meat they eat with vegetables in Romania (69%), Cyprus (66%) and Greece (65%). However, less than a third are willing to do so in the Netherlands (29%), Ireland (30%), Estonia (31%) and the United Kingdom (33%).
Materials data, kept here for reference:
- - -
For CdH2Pd3, a structure optimized by DFT (GGA-PBE) gives the simulated PXRD pattern in this record (Cu Kα X-rays).
Neutral-atom scattering factors, no anomalous dispersion.

Principal peaks in the range 2θ from 5° to 70°, low angle first:
- 2.437 Å, 36.88 deg, rel. 60, (1 1 0)
- 2.276 Å, 39.60 deg, rel. 100, (1 0 2)
- 1.724 Å, 53.14 deg, rel. 21, (2 0 0)
- 1.515 Å, 61.18 deg, rel. 7, (0 0 4)
- 1.374 Å, 68.26 deg, rel. 38, (2 1 2)

Structure:
a = 3.447 Å, b = 3.447 Å, c = 6.060 Å
α = 90.00°, β = 90.00°, γ = 90.00°
Space group P-4m2 (No. 115)
Asymmetric unit:
Cd 0.000 0.000 0.000 x1
H 0.000 0.500 0.615 x2
Pd 0.000 0.000 0.500 x1
Pd 0.500 0.500 0.247 x2

----------

Diffraction record for KI2O6. The XRD peak list is computed, not measured: it uses DFT lattice parameters and positions (GGA-PBE) and copper Kα.
Kinematic intensities with the Lorentz-polarization factor, no thermal factor.

Principal peaks in the range 10° ≤ 2θ ≤ 90°, in order of rising 2θ:
18.01°, intensity 33.7; 20.18°, intensity 79.2; 21.53°, intensity 33.9; 24.91°, intensity 29.0; 25.23°, intensity 100.0; 27.16°, intensity 45.2; 28.94°, intensity 32.1; 29.35°, intensity 29.8; 32.66°, intensity 32.6; 41.04°, intensity 31.6

Cell lengths 10.6896, 7.5677, 8.8018 Å; angles 90.00, 112.86, 90.00 degrees
Space group P2_1/c (No. 14)
Inequivalent atoms, fractional coordinates:
K  0.2011  0.2489  0.3380
I  0.1242  0.7029  0.0717
I  0.4946  0.5649  0.7922
O  0.0319  0.1640  0.0117
O  0.0609  0.5496  0.1860
O  0.2346  0.6521  0.7363
O  0.3207  0.0481  0.6428
O  0.4312  0.0264  0.0823
O  0.4636  0.1444  0.3827
- - -
The materials data stop here:
Environmental impact of meat consumption
== Between two parts of the article: records of crystals ==
KMoO3: calculated powder diffractogram (Cu Kα (λ = 1.5418 Å)), based on a cell relaxed with PBE+U.
Peak positions follow from Bragg's law for the DFT cell and can differ from measured ones.

Atomic structure:
```
data_KMoO3
_chemical_formula_sum 'K4 Mo4 O12'
_cell_length_a 6.071
_cell_length_b 15.137
_cell_length_c 5.233
_cell_angle_alpha 90.00
_cell_angle_beta 90.00
_cell_angle_gamma 90.00
_symmetry_space_group_name_H-M 'C m c m'
_symmetry_Int_Tables_number 63
_symmetry_space_group_name_Hall '-C 2c 2'
loop_
_atom_site_label
_atom_site_fract_x
_atom_site_fract_y
_atom_site_fract_z
_atom_site_occupancy
K1 0.000 0.174 0.250 1
Mo1 0.000 0.408 0.250 1
O1 0.000 0.500 0.000 1
O2 0.242 0.341 0.250 1
```

Main lines, low angle first (2θ = 10–80°):
d 5.634, 2θ 15.73, rel. 98, hkl 1 1 0; d 4.305, 2θ 20.63, rel. 61, hkl 0 2 1; d 3.834, 2θ 23.20, rel. 100, hkl 1 1 1; d 3.117, 2θ 28.64, rel. 56, hkl 1 3 1; d 3.067, 2θ 29.12, rel. 23, hkl 0 4 1; d 3.035, 2θ 29.43, rel. 24, hkl 2 0 0; d 2.709, 2θ 33.06, rel. 26, hkl 1 5 0; d 2.617, 2θ 34.27, rel. 25, hkl 0 0 2; d 2.157, 2θ 41.88, rel. 42, hkl 2 4 1; d 1.882, 2θ 48.36, rel. 29, hkl 1 5 2

=====

Starting from a DFT-relaxed cell (PBE+U, Alexandria), the X-ray diffraction stick pattern of Na3TaCr3O8 was calculated for CuKα.
Kinematic intensities with the Lorentz-polarization factor, no thermal factor.

Crystal structure
```
data_Na3TaCr3O8
_chemical_formula_sum 'Na6 Ta2 Cr6 O16'
_cell_length_a 10.895
_cell_length_b 6.099
_cell_length_c 6.568
_cell_angle_alpha 90.00
_cell_angle_beta 122.53
_cell_angle_gamma 90.00
_space_group_name_H-M_alt 'C 1 2/m 1'
_space_group_IT_number 12
_space_group_name_Hall '-C 2y'
loop_
_atom_site_label
_atom_site_type_symbol
_atom_site_fract_x
_atom_site_fract_y
_atom_site_fract_z
_atom_site_occupancy
Na1 Na 0.000 0.000 0.000 1
Na2 Na 0.250 0.250 0.000 1
Ta1 Ta 0.000 0.000 0.500 1
Cr1 Cr 0.000 0.500 0.500 1
Cr2 Cr 0.250 0.250 0.500 1
O1 O 0.006 0.242 0.298 1
O2 O 0.220 0.000 0.689 1
O3 O 0.224 0.500 0.685 1
```

Top 10 peaks for 2θ from 10° to 90°, low angle first:
(0 0 1), 16.00°, rel. 100; (2 0 -1), 17.22°, rel. 21; (1 1 0), 17.45°, rel. 36; (0 0 2), 32.33°, rel. 17; (4 0 -1), 33.21°, rel. 18; (2 2 -1), 34.17°, rel. 19; (2 2 0), 35.33°, rel. 22; (4 0 0), 39.23°, rel. 28; (2 2 -2), 40.42°, rel. 52; (2 2 2), 55.92°, rel. 16

=====

Record 1
Structure and computed powder X-ray diffraction pattern of SmDy4Ho15 (a DFT-relaxed cell (GGA-PBE, Alexandria); Cu Kα).

Structural model:
```
SmDy4Ho15
1.0
4.995 0.000 0.000
0.000 4.995 0.000
0.000 0.000 24.966
Sm Dy Ho
1 4 15
Direct
0.000 0.000 0.000
0.000 0.000 0.201
0.000 0.000 0.400
0.000 0.000 0.600
0.000 0.000 0.799
0.000 0.500 0.101
0.000 0.500 0.300
0.000 0.500 0.500
0.000 0.500 0.700
0.000 0.500 0.899
0.500 0.000 0.101
0.500 0.000 0.300
0.500 0.000 0.500
0.500 0.000 0.700
0.500 0.000 0.899
0.500 0.500 0.000
0.500 0.500 0.201
0.500 0.500 0.400
0.500 0.500 0.600
0.500 0.500 0.799
```

The 8 most intense peaks (10° ≤ 2θ ≤ 90°), low angle first:
The consumption of great quantities of meat has a variety of negative environmental impacts. Large quantities of water are needed for animals and the crops the animals feed upon.
The amount of water needed for a pound of meat is many times greater then the amounted needed for a pound of legumes, seeds, vegetables or grains fit for human consumption. As consumer demand for meat increases more land is needed. Hundreds of miles of the South American rainforest is burned and cut annually and converted to crop and grazing land. The New York Times reported that 1,250 miles of Brazilian rain forest were lost for feed and livestock production in just five months. As meat demand rises more farmland is devoted to feed crops for livestock and taken away from less profitable grain production that was previously produced for people in underdeveloped countries.